From Algorithms to AI: The Evolution of Programming in the Age of Generative Intelligence

The dynamics of programming have undergone an immense transformation from the primary first algorithms of mechanical computing to complicated AI slopes, which are the features of the digital generation. 

Thus, this shift from algorithms to AI is important in our application of technology to address complex problems as well as our vision of future software development. The development is based on the appearance of Generative Intelligence as an AI field that will redefine the nature of coding and open new opportunities for development.

Here the article breaks off for calculated crystals:
/*
SrAsO2F after structural relaxation, computed with PBE.

Values from the calculation:
E	-5.572	eV/atom
V	14.59	A^3/atom

abc: 4.129 4.129 4.279
angles: 90.00 90.00 90.00
Atoms (fractional coordinates):
1 Sr 0.000 0.000 0.000
2 As 0.500 0.500 0.500
3 O 0.000 0.500 0.500
4 O 0.500 0.000 0.500
5 F 0.500 0.500 0.000

ScAs4Cl after structural relaxation, computed with PBE.

Values from the calculation:
E	-4.597	eV/atom
V	20.40	A^3/atom

abc: 5.573 5.573 5.573
angles: 60.00 60.00 60.00
Atoms (fractional coordinates):
1 Sc 0.000 0.000 0.000
2 As 0.131 0.623 0.623
3 As 0.623 0.131 0.623
4 As 0.623 0.623 0.131
5 As 0.623 0.623 0.623
6 Cl 0.250 0.250 0.250

SrCeSiHg after structural relaxation, computed with PBE.

Values from the calculation:
E	-3.655	eV/atom
V	27.52	A^3/atom

abc: 5.379 5.379 5.379
angles: 60.00 60.00 60.00
Atoms (fractional coordinates):
1 Sr 0.000 0.000 0.000
2 Ce 0.500 0.500 0.500
3 Si 0.250 0.250 0.250
4 Hg 0.750 0.750 0.750

Li2Y2Zn after structural relaxation, computed with PBE.

Values from the calculation:
calculated formation energy	0.11	eV per formula unit
V	24.14	A^3/atom

abc: 9.487 9.487 9.487
angles: 157.91 157.91 31.44
Atoms (fractional coordinates):
1 Li 0.250 0.750 0.500
2 Li 0.750 0.250 0.500
3 Y 0.093 0.093 0.000
4 Y 0.907 0.907 0.000
5 Zn 0.500 0.500 0.000

DyHoFeRu after structural relaxation, computed with PBE.

Values from the calculation:
calculated formation energy	-0.28	eV per formula unit
V	19.56	A^3/atom

abc: 4.801 4.801 4.801
angles: 60.00 60.00 60.00
Atoms (fractional coordinates):
1 Dy 0.000 0.000 0.000
2 Ho 0.500 0.500 0.500
3 Fe 0.750 0.750 0.750
4 Ru 0.250 0.250 0.250

LiAg2PtSe after structural relaxation, computed with PBE.

Values from the calculation:
E	-3.055	eV/atom
V	17.58	A^3/atom

abc: 4.495 4.495 4.350
angles: 90.00 90.00 90.00
Atoms (fractional coordinates):
1 Li 0.000 0.000 0.000
2 Ag 0.000 0.500 0.000
3 Ag 0.500 0.000 0.000
4 Pt 0.500 0.500 0.500
5 Se 0.000 0.000 0.500


1.
Lu2TcAg | GGA-PBEsol | relaxed

a b c (Å): 4.7799 4.7799 4.7799
angles (deg): 60.00 60.00 60.00
Element x y z (fractional)
Lu 0.2500 0.2500 0.2500
Lu 0.7500 0.7500 0.7500
Tc 0.0000 0.0000 0.0000
Ag 0.5000 0.5000 0.5000

The calculation puts the density of states at the Fermi level at 0.59 states/eV per atom. The calculation puts the volume at 77.2 Å³/cell. The value obtained for the uncorrected energy is -6.2765 eV per atom. As for the space group: Fm-3m, No. 225.

---

2.
NdRe4Si2 | GGA-PBEsol | relaxed

a b c (Å): 7.2924 15.3409 4.1292
angles (deg): 90.00 90.00 90.00
Element x y z (fractional)
Nd 0.0783 0.1185 0.0000
Nd 0.4217 0.6185 0.5000
Nd 0.5783 0.3815 0.5000
Nd 0.9217 0.8815 0.0000
Re 0.0117 0.7058 0.5000
Re 0.0685 0.5817 0.0000
Re 0.1389 0.4483 0.5000
Re 0.2305 0.3212 0.0000
Re 0.2695 0.8212 0.5000
Re 0.3611 0.9483 0.0000
Re 0.4315 0.0817 0.5000
Re 0.4883 0.2058 0.0000
Re 0.5117 0.7942 0.0000
Re 0.5685 0.9183 0.5000
Re 0.6389 0.0517 0.0000
Re 0.7305 0.1788 0.5000
Re 0.7695 0.6788 0.0000
Re 0.8611 0.5517 0.5000
*/

The Art of Coding and Programming in Integrated Circuit Chips

In an era dominated by digital technology, Integrated Circuit (IC) chips form the backbone of countless devices, from smartphones to sophisticated medical equipment. These microscopic marvels are the result of meticulous programming and coding, a process as intricate as the chips themselves. Understanding the art of IC chip programming is essential to appreciate how these tiny components power our modern world.

Background of IC Chips

Integrated Circuits, or ICs, revolutionized electronics by miniaturizing and integrating components onto a single chip. Invented in the late 1950s, they have evolved from primitive designs to complex systems capable of performing a variety of functions. Today, ICs range from simple microprocessors to sophisticated SoCs (System on Chip), each designed for specific tasks.

+++
Entry 1:
Pm3Y3Cd2 | PBE-GGA | optimized geometry

Unit cell a=5.3309 b=6.4915 c=15.6793 alpha=90.00 beta=90.00 gamma=114.24
Closest atoms and distances in Å follow each position.
Element x y z (fractional)
Cd  0.2310  0.4619  0.3631  4 Y 3.05-3.29, 3 Pm 3.20-3.21
Cd  0.7690  0.5381  0.6369  4 Y 3.05-3.29, 3 Pm 3.20-3.21
Cd  0.7690  0.5381  0.8631  4 Y 3.05-3.29, 3 Pm 3.20-3.21
Cd  0.2310  0.4619  0.1369  4 Y 3.05-3.29, 3 Pm 3.20-3.21
Pm  0.0373  0.0745  0.8933  1 Cd 3.21, 2 Pm 3.46-3.50, 2 Y 3.49
Pm  0.7363  0.4725  0.2500  4 Cd 3.20, 3 Y 3.30-3.57, 2 Pm 3.50
Pm  0.0373  0.0745  0.6067  1 Cd 3.21, 2 Pm 3.46-3.50, 2 Y 3.49
Pm  0.9627  0.9255  0.3933  1 Cd 3.21, 2 Pm 3.46-3.50, 2 Y 3.49
Pm  0.2637  0.5275  0.7500  4 Cd 3.20, 3 Y 3.30-3.57, 2 Pm 3.50
Pm  0.9627  0.9255  0.1067  1 Cd 3.21, 2 Pm 3.46-3.50, 2 Y 3.49
Y  0.5428  0.0856  0.7500  2 Cd 3.21, 5 Pm 3.30-3.49
Y  0.3560  0.7120  0.5331  3 Cd 3.05-3.29
Y  0.3560  0.7120  0.9669  3 Cd 3.05-3.29
Y  0.4572  0.9144  0.2500  2 Cd 3.21, 5 Pm 3.30-3.49
Y  0.6440  0.2880  0.0331  3 Cd 3.05-3.29
Y  0.6440  0.2880  0.4669  3 Cd 3.05-3.29

Calculated values
Its space group is Cmcm, No. 63.

=====

Entry 2:
Ni9Ge2Ir | PBE-GGA | optimized geometry

Unit cell a=3.5967 b=3.5967 c=10.7664 alpha=90.00 beta=90.00 gamma=90.00
Closest atoms and distances in Å follow each position.
Element x y z (fractional)
Ir  0.0000  0.0000  0.0000  12 Ni 2.54-2.56
Ni  0.0000  0.5000  0.8308  8 Ni 2.53-2.56, 2 Ge 2.54, 2 Ir 2.56
Ni  0.5000  0.0000  0.1692  8 Ni 2.53-2.56, 2 Ge 2.54, 2 Ir 2.56
Ni  0.0000  0.5000  0.5000  4 Ge 2.52, 8 Ni 2.53-2.54
Ni  0.5000  0.5000  0.6657  8 Ni 2.53, 4 Ge 2.54
Ni  0.0000  0.5000  0.1692  8 Ni 2.53-2.56, 2 Ge 2.54, 2 Ir 2.56
Ni  0.5000  0.0000  0.8308  8 Ni 2.53-2.56, 2 Ge 2.54, 2 Ir 2.56
Ni  0.5000  0.5000  0.3343  8 Ni 2.53, 4 Ge 2.54
Ni  0.5000  0.5000  0.0000  4 Ir 2.54, 8 Ni 2.56
Ni  0.5000  0.0000  0.5000  4 Ge 2.52, 8 Ni 2.53-2.54
Ge  0.0000  0.0000  0.6641  12 Ni 2.52-2.54
Ge  0.0000  0.0000  0.3359  12 Ni 2.52-2.54

Calculated values
Its space group is P4/mmm, No. 123.

=====

Across the entries above, DFT total energy takes the values -36.13, -71.96 eV/f.u., respectively.
Across the entries above, formation energy takes the values -7.90, -14.73 kJ per mole of atoms, respectively.
+++
End of the crystal structures >

Seven Effective Strategies To Optimize Your VBA Macro Performance

In the realm of Excel, VBA (Visual Basic for Applications) macros are an invaluable tool for automating tasks and enhancing productivity. However, encountering slow-running VBA macros can be a source of frustration, particularly in enterprise settings where efficiency is paramount. The good news is that there are strategies you can employ to significantly improve the performance of your VBA macros.

This article aims to equip you — whether you're an end user, IT admin, or developer — with actionable tips to enhance the speed and responsiveness of your VBA macros.

Everything You Need to Know About Programming and Coding

Programming and coding are two fundamental concepts in computers and technology. Without these two things, our computers would be very limited in what they could do.

Let's start with programming. Programming is creating a set of instructions that tell a computer what to do. These instructions are known as code, and they can be written in a variety of different languages.

A Guide to Endpoint Protection

Nearly every company today is grappling with a tremendous increase in the number of endpoints linking to their network. On top of users' gadgets – like smartphones, laptops, and desktops – there are more and more IoT-enabled systems in smart cities and smart factories. This is quickly turning into an information technology disaster. The fact is that there has never been a greater need for enterprise endpoint security like today. We continue our endpoint security series by discussing some of the numerous benefits of endpoint security systems. 

It is estimated that up to 70% of all known data breaches start at an endpoint. This is no surprise because endpoints are one of the weakest sections of any network. There are enormous amounts of application and operating vulnerabilities that can be exploited via endpoints. A single user can have various endpoints that can be successfully exploited. 

Advanced Python Techniques Every Programmer Should Know

+++
Below is a geometry-optimized Sc4TcBr structure, with properties calculated at the GGA-PBEsol level.

Structure (POSCAR):
```
Sc4TcBr
1.0
-4.654 2.930 1.116
-3.573 -1.800 3.934
-0.468 2.783 4.850
Br Sc Tc
1 4 1
direct
0.000 0.000 0.000
0.378 0.378 0.378
0.378 0.378 0.865
0.865 0.378 0.378
0.378 0.865 0.378
0.750 0.750 0.750
```

Computed properties:
Total moment in μB/cell: 0.00
E_tot in eV/atom: -5.972
Symmetry: No. 216

=====

Record 1
A PBEsol-optimized structure of MnNi7O8, computed with SCAN.

POSCAR file:
```
MnNi7O8
1.0
0.0000 4.1256 4.1256
4.1256 0.0000 4.1256
4.1256 4.1256 0.0000
Mn Ni O
1 7 8
Direct
0.0000 0.0000 0.0000
0.0000 0.0000 0.5000
0.0000 0.5000 0.0000
0.0000 0.5000 0.5000
0.5000 0.0000 0.0000
0.5000 0.0000 0.5000
0.5000 0.5000 0.0000
0.5000 0.5000 0.5000
0.2500 0.2500 0.2500
0.2525 0.2525 0.7475
0.2525 0.7475 0.2525
0.2525 0.7475 0.7475
0.7475 0.2525 0.2525
0.7475 0.2525 0.7475
0.7475 0.7475 0.2525
0.7500 0.7500 0.7500
```

Output
E_tot in eV/atom: -12.6305
SG: Fm-3m

***

Record 2
A PBEsol-optimized structure of ZnFeTc2, computed with SCAN.

POSCAR file:
```
ZnFeTc2
1.0
1.3214 0.7629 8.5927
-1.3214 0.7629 8.5927
0.0000 -1.5259 8.5927
Zn Fe Tc
1 1 2
Direct
0.0000 0.0000 0.0000
0.5000 0.5000 0.5000
0.2452 0.2452 0.2452
0.7548 0.7548 0.7548
```

Output
ΔE_f in eV/atom: 0.115
E_tot in eV/atom: -25.3265
SG: R-3m

***

Please write out number 2 again, unchanged.
A PBEsol-optimized structure of ZnFeTc2, computed with SCAN.

POSCAR file:
```
ZnFeTc2
1.0
1.3214 0.7629 8.5927
-1.3214 0.7629 8.5927
0.0000 -1.5259 8.5927
Zn Fe Tc
1 1 2
Direct
0.0000 0.0000 0.0000
0.5000 0.5000 0.5000
0.2452 0.2452 0.2452
0.7548 0.7548 0.7548
```

Output
ΔE_f in eV/atom: 0.115
E_tot in eV/atom: -25.3265
SG: R-3m

=====

# 1
KScCdCl6: relaxed, PBE-GGA.

Results
The total magnetization comes out at 0.0 Bohr magnetons per cell. The calculated total energy comes out at -3.923 eV/atom. The formation energy (no corrections) is -1764.6 meV per atom.

Cell: 6.7647 6.7647 13.7567 Å, 90.00 90.00 120.00°
Positions (direct):
Cl  0.6352  0.6183  0.1433
Cl  0.3817  0.3648  0.3567
Cl  0.0169  0.3817  0.6433
Cl  0.6183  0.9831  0.8567
Cl  0.3648  0.9831  0.6433
Cl  0.9831  0.6183  0.3567
Cl  0.6352  0.0169  0.3567
Cl  0.6183  0.6352  0.6433
Cl  0.9831  0.3648  0.1433
Cl  0.3648  0.3817  0.8567
Cl  0.0169  0.6352  0.8567
Cl  0.3817  0.0169  0.1433
K  0.0000  0.0000  0.0000
K  0.0000  0.0000  0.5000
Cd  0.3333  0.6667  0.2500
Cd  0.6667  0.3333  0.7500
Sc  0.6667  0.3333  0.2500
Sc  0.3333  0.6667  0.7500


# 2
KCdSeCl: relaxed, PBE-GGA.

Results
The total magnetization comes out at 0.0 Bohr magnetons per cell. The calculated total energy comes out at -3.019 eV/atom. The formation energy (no corrections) is -1183.4 meV per atom.

Cell: 4.3652 4.3662 8.1575 Å, 74.47 74.47 60.00°
Positions (direct):
Se  0.9424  0.2051  0.8613
Cd  0.5669  0.8295  0.9879
K  0.7181  0.9812  0.5340
Cl  0.4565  0.7191  0.3197


# 3
K3Cd2SnCl9: relaxed, PBE-GGA.

Results
+++

Python is a versatile programming language that has seen increasing popularity in recent years. If you're looking to up your game as a programmer, you'll want to be familiar with some of the advanced techniques featured in this article. 

These six Python tips will help you develop more effective and efficient code, from object-oriented programming to data structures. These Python tips will help you develop more effective and efficient code.

Technology Bridging the Gap Between CNC Machines & Robots

Having different software languages can create a communication barrier between robots and the CNC machines they assist. Digital factories can be transformed once the two are synced, and technology is bridging the gap to make it happen. 

As Industry 4.0 revolutionizes the manufacturing world, robots can be increasingly seen working alongside CNC machines - but only so well. The controllers used by robotics manufacturers rarely coincide with the software that makes CNC machines run, so a fully synchronized operation can be very difficult to achieve. The result is untapped potential in automated manufacturing, as robot-CNC machine interfaces work with less productivity than they could otherwise obtain. 

IoT Solutions Are Helping the Elderly Stay Safe and Be More Independent


It’s often the case that vulnerable groups are the first to benefit from new technological advances, and that has held true for the evolution of IoT devices. Many of the solutions available in the market today can be practical for the general consumer, but they truly shine when used to help senior citizens and other vulnerable groups live safer and more independent lives.

To give you a sense of how this translates into the real world, let’s go over some IoT applications that are very useful for seniors, and the caregiving-focused products that make use of them.

The Future of ReactJS Developers

ReactJS is a declarative, versatile JavaScript framework for building customizable user interfaces ( UI) with greater simplicity and usability. An application for various states provides some benefits in generating basic views and greater convenience in quickly changing and rendering the related components just as data changes.

React.js is a vital part of the above group and not just a coming and going system. Released in 2013, the list of the most creative innovations continues to grow.